# Contents
┌──
Material: ZnH12C2S2N4Cl2O4
Method: DFT, PBE
State: optimized geometry

Output
E in eV per atom: -5.105
Total magnetic moment in μB per formula unit: 0.04

Unit cell a=14.4721 b=4.9362 c=9.3912 alpha=90.00 beta=90.00 gamma=90.00
Last column: nearest neighbours and their distance in Å.
Positions (direct):
Zn 0.0000 0.0900 0.0000  2 N 2.12, 2 Cl 2.22-2.27
Zn 0.5000 0.9100 0.5000  2 N 2.12, 2 Cl 2.22-2.27
H 0.0874 0.5104 0.5648  1 C 1.10
H 0.1077 0.4180 0.1434  1 N 1.03
H 0.1303 0.7439 0.4311  1 C 1.10
H 0.1662 0.3465 0.8564  1 N 1.03
H 0.1668 0.1370 0.1001  1 N 1.03
H 0.1693 0.7647 0.6143  1 C 1.10
H 0.3307 0.2354 0.1143  1 C 1.10
H 0.3332 0.8630 0.6001  1 N 1.03
H 0.3338 0.6535 0.3564  1 N 1.03
H 0.3697 0.2561 0.9311  1 C 1.10
H 0.3923 0.5820 0.6434  1 N 1.03
H 0.4126 0.4896 0.0648  1 C 1.10
H 0.5874 0.4896 0.0648  1 C 1.10
H 0.6077 0.5820 0.6434  1 N 1.03
H 0.6303 0.2561 0.9311  1 C 1.10
H 0.6662 0.6535 0.3564  1 N 1.03
H 0.6668 0.8630 0.6001  1 N 1.03
H 0.6693 0.2354 0.1143  1 C 1.10
H 0.8307 0.7647 0.6143  1 C 1.10
H 0.8332 0.1370 0.1001  1 N 1.03
H 0.8338 0.3465 0.8564  1 N 1.03
H 0.8697 0.7439 0.4311  1 C 1.10
H 0.8923 0.4180 0.1434  1 N 1.03
H 0.9126 0.5104 0.5648  1 C 1.10
C 0.1467 0.6303 0.5281  3 H 1.10
C 0.3533 0.3697 0.0281  3 H 1.10
C 0.6467 0.3697 0.0281  3 H 1.10
C 0.8533 0.6303 0.5281  3 H 1.10
S 0.2353 0.3922 0.4903  2 O 1.44-1.45
S 0.2647 0.6078 0.9903  2 O 1.44-1.45
S 0.7353 0.6078 0.9903  2 O 1.44-1.45
S 0.7647 0.3922 0.4903  2 O 1.44-1.45
N 0.1239 0.2871 0.0617  2 H 1.03
N 0.1664 0.4439 0.9527  1 H 1.03
N 0.3336 0.5561 0.4527  1 H 1.03
N 0.3761 0.7129 0.5617  2 H 1.03
N 0.6239 0.7129 0.5617  2 H 1.03
N 0.6664 0.5561 0.4527  1 H 1.03
N 0.8336 0.4439 0.9527  1 H 1.03
N 0.8761 0.2871 0.0617  2 H 1.03
Cl 0.0000 0.0811 0.7637  1 Zn 2.22
Cl 0.0000 0.7822 0.1797  1 Zn 2.27, 2 H 2.40
Cl 0.5000 0.2178 0.6797  1 Zn 2.27, 2 H 2.40
Cl 0.5000 0.9189 0.2637  1 Zn 2.22
O 0.2135 0.2471 0.3612  1 S 1.44
O 0.2462 0.7570 0.1208  1 S 1.45
O 0.2538 0.2430 0.6208  1 S 1.45
O 0.2865 0.7529 0.8612  1 S 1.44
O 0.7135 0.7529 0.8612  1 S 1.44
O 0.7462 0.2430 0.6208  1 S 1.45
O 0.7538 0.7570 0.1208  1 S 1.45
O 0.7865 0.2471 0.3612  1 S 1.44

=====

Ba14LiY7Cu20O42: optimized geometry, GGA-PBE.

Cell: 8.653 12.249 12.732 Å, 95.50 105.75 98.22°
Space group P1 (No. 1)
Inequivalent atoms, fractional coordinates:
Ba 0.000 0.000 0.000 x1
Ba 0.023 0.341 0.392 x1
Ba 0.141 0.712 0.000 x1
Ba 0.167 0.055 0.392 x1
Ba 0.282 0.427 0.998 x1
Ba 0.309 0.769 0.391 x1
Ba 0.427 0.141 0.998 x1
Ba 0.453 0.483 0.392 x1
Ba 0.571 0.856 0.001 x1
Ba 0.597 0.198 0.392 x1
Ba 0.712 0.570 0.998 x1
Ba 0.738 0.912 0.391 x1
Ba 0.857 0.284 0.998 x1
Ba 0.881 0.625 0.391 x1
Li 0.509 0.335 0.856 x1
Y 0.010 0.669 0.695 x1
Y 0.160 0.383 0.698 x1
Y 0.301 0.103 0.698 x1
Y 0.440 0.812 0.695 x1
Y 0.581 0.523 0.698 x1
Y 0.722 0.243 0.698 x1
Y 0.870 0.955 0.695 x1
Cu 0.067 0.188 0.824 x1
Cu 0.083 0.527 0.196 x1
Cu 0.098 0.865 0.563 x1
Cu 0.212 0.902 0.829 x1
Cu 0.226 0.241 0.197 x1
Cu 0.240 0.579 0.562 x1
Cu 0.353 0.617 0.825 x1
Cu 0.369 0.955 0.195 x1
Cu 0.381 0.293 0.557 x1
Cu 0.512 0.670 0.196 x1
Cu 0.526 0.008 0.562 x1
Cu 0.638 0.045 0.825 x1
Cu 0.652 0.383 0.191 x1
Cu 0.668 0.722 0.563 x1
Cu 0.782 0.761 0.829 x1
Cu 0.797 0.098 0.195 x1
Cu 0.813 0.436 0.564 x1
Cu 0.923 0.474 0.824 x1
Cu 0.939 0.812 0.195 x1
Cu 0.954 0.151 0.563 x1
O 0.004 0.834 0.344 x1
O 0.019 0.505 0.047 x1
O 0.032 0.010 0.576 x1
O 0.032 0.510 0.577 x1
O 0.131 0.544 0.817 x1
O 0.136 0.042 0.816 x1
O 0.147 0.548 0.345 x1
O 0.163 0.220 0.048 x1
O 0.174 0.724 0.575 x1
O 0.175 0.224 0.574 x1
O 0.273 0.256 0.813 x1
O 0.276 0.757 0.814 x1
O 0.290 0.262 0.345 x1
O 0.304 0.934 0.046 x1
O 0.317 0.437 0.574 x1
O 0.319 0.938 0.577 x1
O 0.417 0.476 0.813 x1
O 0.420 0.972 0.818 x1
O 0.432 0.977 0.344 x1
O 0.448 0.648 0.048 x1
O 0.459 0.153 0.574 x1
O 0.461 0.653 0.577 x1
O 0.564 0.183 0.813 x1
O 0.564 0.688 0.818 x1
O 0.575 0.691 0.344 x1
O 0.588 0.362 0.041 x1
O 0.602 0.366 0.574 x1
O 0.603 0.867 0.575 x1
└──

# Work order
Restate everything above character by character.

# Done
Material: ZnH12C2S2N4Cl2O4
Method: DFT, PBE
State: optimized geometry

Output
E in eV per atom: -5.105
Total magnetic moment in μB per formula unit: 0.04

Unit cell a=14.4721 b=4.9362 c=9.3912 alpha=90.00 beta=90.00 gamma=90.00
Last column: nearest neighbours and their distance in Å.
Positions (direct):
Zn 0.0000 0.0900 0.0000  2 N 2.12, 2 Cl 2.22-2.27
Zn 0.5000 0.9100 0.5000  2 N 2.12, 2 Cl 2.22-2.27
H 0.0874 0.5104 0.5648  1 C 1.10
H 0.1077 0.4180 0.1434  1 N 1.03
H 0.1303 0.7439 0.4311  1 C 1.10
H 0.1662 0.3465 0.8564  1 N 1.03
H 0.1668 0.1370 0.1001  1 N 1.03
H 0.1693 0.7647 0.6143  1 C 1.10
H 0.3307 0.2354 0.1143  1 C 1.10
H 0.3332 0.8630 0.6001  1 N 1.03
H 0.3338 0.6535 0.3564  1 N 1.03
H 0.3697 0.2561 0.9311  1 C 1.10
H 0.3923 0.5820 0.6434  1 N 1.03
H 0.4126 0.4896 0.0648  1 C 1.10
H 0.5874 0.4896 0.0648  1 C 1.10
H 0.6077 0.5820 0.6434  1 N 1.03
H 0.6303 0.2561 0.9311  1 C 1.10
H 0.6662 0.6535 0.3564  1 N 1.03
H 0.6668 0.8630 0.6001  1 N 1.03
H 0.6693 0.2354 0.1143  1 C 1.10
H 0.8307 0.7647 0.6143  1 C 1.10
H 0.8332 0.1370 0.1001  1 N 1.03
H 0.8338 0.3465 0.8564  1 N 1.03
H 0.8697 0.7439 0.4311  1 C 1.10
H 0.8923 0.4180 0.1434  1 N 1.03
H 0.9126 0.5104 0.5648  1 C 1.10
C 0.1467 0.6303 0.5281  3 H 1.10
C 0.3533 0.3697 0.0281  3 H 1.10
C 0.6467 0.3697 0.0281  3 H 1.10
C 0.8533 0.6303 0.5281  3 H 1.10
S 0.2353 0.3922 0.4903  2 O 1.44-1.45
S 0.2647 0.6078 0.9903  2 O 1.44-1.45
S 0.7353 0.6078 0.9903  2 O 1.44-1.45
S 0.7647 0.3922 0.4903  2 O 1.44-1.45
N 0.1239 0.2871 0.0617  2 H 1.03
N 0.1664 0.4439 0.9527  1 H 1.03
N 0.3336 0.5561 0.4527  1 H 1.03
N 0.3761 0.7129 0.5617  2 H 1.03
N 0.6239 0.7129 0.5617  2 H 1.03
N 0.6664 0.5561 0.4527  1 H 1.03
N 0.8336 0.4439 0.9527  1 H 1.03
N 0.8761 0.2871 0.0617  2 H 1.03
Cl 0.0000 0.0811 0.7637  1 Zn 2.22
Cl 0.0000 0.7822 0.1797  1 Zn 2.27, 2 H 2.40
Cl 0.5000 0.2178 0.6797  1 Zn 2.27, 2 H 2.40
Cl 0.5000 0.9189 0.2637  1 Zn 2.22
O 0.2135 0.2471 0.3612  1 S 1.44
O 0.2462 0.7570 0.1208  1 S 1.45
O 0.2538 0.2430 0.6208  1 S 1.45
O 0.2865 0.7529 0.8612  1 S 1.44
O 0.7135 0.7529 0.8612  1 S 1.44
O 0.7462 0.2430 0.6208  1 S 1.45
O 0.7538 0.7570 0.1208  1 S 1.45
O 0.7865 0.2471 0.3612  1 S 1.44

=====

Ba14LiY7Cu20O42: optimized geometry, GGA-PBE.

Cell: 8.653 12.249 12.732 Å, 95.50 105.75 98.22°
Space group P1 (No. 1)
Inequivalent atoms, fractional coordinates:
Ba 0.000 0.000 0.000 x1
Ba 0.023 0.341 0.392 x1
Ba 0.141 0.712 0.000 x1
Ba 0.167 0.055 0.392 x1
Ba 0.282 0.427 0.998 x1
Ba 0.309 0.769 0.391 x1
Ba 0.427 0.141 0.998 x1
Ba 0.453 0.483 0.392 x1
Ba 0.571 0.856 0.001 x1
Ba 0.597 0.198 0.392 x1
Ba 0.712 0.570 0.998 x1
Ba 0.738 0.912 0.391 x1
Ba 0.857 0.284 0.998 x1
Ba 0.881 0.625 0.391 x1
Li 0.509 0.335 0.856 x1
Y 0.010 0.669 0.695 x1
Y 0.160 0.383 0.698 x1
Y 0.301 0.103 0.698 x1
Y 0.440 0.812 0.695 x1
Y 0.581 0.523 0.698 x1
Y 0.722 0.243 0.698 x1
Y 0.870 0.955 0.695 x1
Cu 0.067 0.188 0.824 x1
Cu 0.083 0.527 0.196 x1
Cu 0.098 0.865 0.563 x1
Cu 0.212 0.902 0.829 x1
Cu 0.226 0.241 0.197 x1
Cu 0.240 0.579 0.562 x1
Cu 0.353 0.617 0.825 x1
Cu 0.369 0.955 0.195 x1
Cu 0.381 0.293 0.557 x1
Cu 0.512 0.670 0.196 x1
Cu 0.526 0.008 0.562 x1
Cu 0.638 0.045 0.825 x1
Cu 0.652 0.383 0.191 x1
Cu 0.668 0.722 0.563 x1
Cu 0.782 0.761 0.829 x1
Cu 0.797 0.098 0.195 x1
Cu 0.813 0.436 0.564 x1
Cu 0.923 0.474 0.824 x1
Cu 0.939 0.812 0.195 x1
Cu 0.954 0.151 0.563 x1
O 0.004 0.834 0.344 x1
O 0.019 0.505 0.047 x1
O 0.032 0.010 0.576 x1
O 0.032 0.510 0.577 x1
O 0.131 0.544 0.817 x1
O 0.136 0.042 0.816 x1
O 0.147 0.548 0.345 x1
O 0.163 0.220 0.048 x1
O 0.174 0.724 0.575 x1
O 0.175 0.224 0.574 x1
O 0.273 0.256 0.813 x1
O 0.276 0.757 0.814 x1
O 0.290 0.262 0.345 x1
O 0.304 0.934 0.046 x1
O 0.317 0.437 0.574 x1
O 0.319 0.938 0.577 x1
O 0.417 0.476 0.813 x1
O 0.420 0.972 0.818 x1
O 0.432 0.977 0.344 x1
O 0.448 0.648 0.048 x1
O 0.459 0.153 0.574 x1
O 0.461 0.653 0.577 x1
O 0.564 0.183 0.813 x1
O 0.564 0.688 0.818 x1
O 0.575 0.691 0.344 x1
O 0.588 0.362 0.041 x1
O 0.602 0.366 0.574 x1
O 0.603 0.867 0.575 x1